Write out the lines underneath unchanged.
ErNbCo2 after structural relaxation, computed with PBE.

a b c (Å): 3.1201 3.1201 6.7004
angles (deg): 90.00 90.00 90.00
Space group P4/mmm (No. 123)
Inequivalent atoms, fractional coordinates:
1 Er 0.0000 0.0000 0.0000 [1 per cell]
2 Nb 0.0000 0.0000 0.5000 [1 per cell]
3 Co 0.5000 0.5000 0.2964 [2 per cell]

Output
energy relative to the elements	-129.3	meV/atom
Fermi-level density of states	1.219	states/eV per atom
raw total energy	-0.270	hartree per atom


Entry from Alexandria via LeMat-Bulk: a relaxed structure of CsHoCr2O8 (PBE with a Hubbard U).

Summary:
VASP energy ... -83.2 eV/f.u.
Fermi-level density of states ... 0.00 states/eV/cell

abc: 5.809 5.809 8.450
angles: 90.00 90.00 120.00
Fractional coordinates of all 12 atoms:
Ho (0.000, 0.000, 0.500)
O (0.649, 0.820, 0.662)
O (0.333, 0.667, 0.919)
O (0.180, 0.829, 0.662)
O (0.171, 0.351, 0.662)
ErNbCo2 after structural relaxation, computed with PBE.

a b c (Å): 3.1201 3.1201 6.7004
angles (deg): 90.00 90.00 90.00
Space group P4/mmm (No. 123)
Inequivalent atoms, fractional coordinates:
1 Er 0.0000 0.0000 0.0000 [1 per cell]
2 Nb 0.0000 0.0000 0.5000 [1 per cell]
3 Co 0.5000 0.5000 0.2964 [2 per cell]

Output
energy relative to the elements	-129.3	meV/atom
Fermi-level density of states	1.219	states/eV per atom
raw total energy	-0.270	hartree per atom


Entry from Alexandria via LeMat-Bulk: a relaxed structure of CsHoCr2O8 (PBE with a Hubbard U).

Summary:
VASP energy ... -83.2 eV/f.u.
Fermi-level density of states ... 0.00 states/eV/cell

abc: 5.809 5.809 8.450
angles: 90.00 90.00 120.00
Fractional coordinates of all 12 atoms:
Ho (0.000, 0.000, 0.500)
O (0.649, 0.820, 0.662)
O (0.333, 0.667, 0.919)
O (0.180, 0.829, 0.662)
O (0.171, 0.351, 0.662)